## What to do
The reader should work out how many lines further below have the word "optimized" in them; a number is enough.
## Input
~~~
Structure and simulated powder diffraction line list of Nd6In5Hg (a GGA-PBE-relaxed structure; λ = 1.5418 Å (Cu Kα)).
Lines closer than 0.1° are merged.

Structure:
```
Nd6In5Hg
1.0
5.486 0.000 0.000
0.000 7.740 0.000
-2.700 0.000 8.224
Nd In Hg
6 5 1
direct
0.000 0.247 0.000
0.000 0.753 0.000
0.334 0.249 0.669
0.334 0.751 0.669
0.666 0.249 0.331
0.666 0.751 0.331
0.166 0.000 0.332
0.167 0.500 0.334
0.500 0.500 0.000
0.833 0.500 0.666
0.834 0.000 0.668
0.500 0.000 0.000
```

Principal peaks in the range 10° ≤ 2θ ≤ 90°, low angle first:
two_theta  d (Å)  I/Imax
32.68  2.740  100
46.73  1.944  6
46.97  1.934  12
58.22  1.585  13
58.38  1.581  25
68.42  1.371  8
68.61  1.368  4
77.71  1.229  5
78.10  1.224  11
87.12  1.119  4



Structure and simulated powder diffraction line list of Nd3In2Hg4 (a GGA-PBE-relaxed structure; λ = 1.5418 Å (Cu Kα)).
Lines closer than 0.1° are merged.

Structure:
```
Nd3In2Hg4
1.0
5.687 -2.492 0.000
5.687 2.492 0.000
-4.238 0.000 8.442
Nd In Hg
3 2 4
direct
0.000 0.000 0.000
0.335 0.335 0.328
0.665 0.665 0.672
0.389 0.389 0.724
0.611 0.611 0.276
0.085 0.085 0.420
0.305 0.305 0.973
0.695 0.695 0.027
0.915 0.915 0.580
```

Principal peaks in the range 10° ≤ 2θ ≤ 90°, low angle first:
two_theta  d (Å)  I/Imax
31.87  2.808  100
31.94  2.802  49
35.87  2.504  97
36.04  2.492  48
48.79  1.867  22
48.89  1.863  17
61.98  1.497  15
62.23  1.492  15
62.70  1.482  19
64.70  1.441  19



Structure and simulated powder diffraction line list of Nd3InHg4 (a GGA-PBE-relaxed structure; λ = 1.5418 Å (Cu Kα)).
Lines closer than 0.1° are merged.

Structure:
```
Nd3InHg4
1.0
-1.907 4.677 6.565
1.907 -4.677 6.565
1.907 4.677 -6.565
Nd In Hg
3 1 4
direct
0.000 0.000 0.000
0.297 0.797 0.500
0.703 0.203 0.500
0.500 0.500 0.000
0.103 0.373 0.730
0.357 0.627 0.730
0.643 0.373 0.270
0.897 0.627 0.270
```

Principal peaks in the range 10° ≤ 2θ ≤ 90°, low angle first:
two_theta  d (Å)  I/Imax
24.30  3.663  34
28.70  3.111  57
31.02  2.883  92
33.35  2.687  100
36.69  2.450  70
38.50  2.338  40
39.78  2.266  23
41.76  2.163  30
47.69  1.907  29
59.43  1.555  39



Structure and simulated powder diffraction line list of Pm2NdIn3Hg6 (a GGA-PBE-relaxed structure; λ = 1.5418 Å (Cu Kα)).
Lines closer than 0.1° are merged.

Structure:
```
Pm2NdIn3Hg6
1.0
4.287 0.000 0.000
0.000 4.287 0.000
0.000 0.000 20.560
Pm Nd In Hg
2 1 3 6
direct
0.000 0.000 0.215
0.000 0.000 0.785
0.000 0.000 0.500
0.500 0.500 0.000
0.500 0.500 0.277
0.500 0.500 0.723
0.000 0.500 0.383
0.000 0.500 0.617
0.500 0.000 0.383
0.500 0.000 0.617
0.500 0.500 0.135
0.500 0.500 0.865
```

Principal peaks in the range 10° ≤ 2θ ≤ 90°, low angle first:
two_theta  d (Å)  I/Imax
21.17  4.197  52
29.79  2.999  94
32.29  2.772  84
34.35  2.611  93
34.91  2.570  38
36.84  2.440  48
37.10  2.423  95
42.16  2.143  100
55.85  1.646  40
57.40  1.605  53

----------

Diffraction record for SrNdMnO4. The X-ray powder pattern is theoretical, not measured: it uses a structure optimized by DFT (GGA+U) and λ = 1.5418 Å (Cu Kα).
Intensities are scaled so that the largest is 100.

Principal peaks in the range 10° ≤ 2θ ≤ 90°, sorted by position:
h k l  two_theta  d_spacing  I (rel.)
1 0 1  24.0  3.704  25
1 0 3  31.3  2.859  100
1 1 0  32.7  2.738  69
1 0 5  42.5  2.126  15
0 0 6  42.7  2.119  13
1 1 4  43.6  2.075  29
2 0 0  46.9  1.936  36
1 1 6  54.8  1.676  16
2 1 3  57.5  1.603  36
2 0 6  65.3  1.429  14

```
data_SrNdMnO4
_cell_length_a 3.872
_cell_length_b 3.872
_cell_length_c 12.716
_cell_angle_alpha 90.00
_cell_angle_beta 90.00
_cell_angle_gamma 90.00
_symmetry_space_group_name_H-M 'I 4 m m'
_symmetry_Int_Tables_number 107
_symmetry_space_group_name_Hall 'I 4 -2'
loop_
_atom_site_label
_atom_site_fract_x
_atom_site_fract_y
_atom_site_fract_z
_atom_site_occupancy
Sr1 0.000 0.000 0.000 1
Nd1 0.000 0.000 0.715 1
Mn1 0.000 0.000 0.358 1
O1 0.000 0.000 0.188 1
O2 0.000 0.000 0.532 1
O3 0.000 0.500 0.347 1
```
~~~
## Completed
1